Storytelling has always been crucial to human flourishing. Stories are how people connect, learn about and share with one another. They are the stuff with which we create a common understanding of our shared past, present and future.
The page is interrupted by records of molecules.
┌──
1.
This record from the Open Molecules 2025 dataset describes a cluster of 7 separate species, C28H37N6O12 in total at a distorted geometry. The level of theory is wB97M-V/def2-TZVPD.

Results
Electronic energy, eV: -63126.7210
Orbital gap, eV: 7.0
LUMO, eV: 0.604
Energy relative to the best compared isomer or geometry (same formula, charge and spin), kcal/mol: 25.8
Largest force on an atom, eV/A: 10.830

```
! wB97M-V def2-TZVPD RIJCOSX def2/J DEFGRID3
* xyz -1 1
C 0.37558 -0.07116 -0.13716
O 0.64958 -0.30416 1.13184
O 0.37858 1.14984 -0.54416
O 0.06958 -0.94316 -0.96016
H 0.66258 1.72284 0.33484
C -1.91742 2.52584 3.92284
C -1.73342 1.79084 2.57084
C -2.41142 2.43284 1.28884
C -3.07642 3.83184 1.36884
C -3.16842 4.40084 2.74084
C -2.54842 3.79784 4.02284
N -3.64042 4.36384 0.06384
O -3.52642 3.73384 -0.89916
O -4.06142 5.49084 0.18684
H -1.80442 1.97084 4.92384
H -1.36042 0.84484 2.51184
H -2.25342 2.00784 0.44084
H -3.73542 5.36984 2.69684
H -2.69442 4.30984 4.93984
C 3.87358 1.10184 -3.64216
C 4.48158 0.53184 -4.96816
C 3.64458 -0.57716 -5.53816
C 2.61358 -1.36016 -4.67816
C 2.10758 -0.73016 -3.34916
C 2.76858 0.61684 -2.98916
N 1.82858 -2.55616 -5.16116
O 1.42058 -3.47216 -4.39416
O 1.79058 -2.74016 -6.38916
H 4.10958 2.02584 -3.40716
H 5.28458 1.15784 -5.24616
H 3.91358 -1.23216 -6.45116
H 1.33658 -0.78016 -2.54716
H 2.41758 1.05684 -1.99316
C 2.66758 4.54484 1.65184
C 2.11758 3.14884 1.85284
C 1.47058 2.74184 3.19784
C 1.53958 3.87884 4.24484
C 1.93258 5.34584 3.96284
C 2.62158 5.60684 2.54284
N 0.96758 3.49584 5.59084
O 0.78458 2.33084 5.89284
O 0.89158 4.41584 6.39984
H 3.04658 4.78384 0.77984
H 2.29158 2.31684 1.03284
H 1.16658 1.74084 3.37184
H 1.95158 6.07484 4.77484
H 2.83458 6.44684 2.06784
C -2.79942 1.08984 -4.99116
O -2.94342 1.17484 -6.24316
N -2.10542 0.19784 -4.30416
C -2.10342 0.37084 -2.86616
C -1.31642 -0.79916 -5.06916
H -3.37442 1.70684 -4.37616
H -1.24242 0.85284 -2.60016
H -1.94242 -0.44816 -2.39416
H -3.05442 0.81884 -2.30416
H -0.92042 -0.45816 -6.01816
H -1.85942 -1.72116 -5.28716
H -0.44942 -0.98416 -4.36816
C -2.32842 -4.60816 2.51884
O -3.24242 -5.25116 3.10284
N -1.57342 -3.68016 3.16684
C -0.69042 -2.75516 2.42584
C -1.69342 -3.42116 4.64384
H -1.96942 -4.86816 1.42784
H -1.07142 -2.53116 1.35584
H 0.31958 -2.96716 2.14684
H -0.58242 -1.78616 2.66784
H -1.21142 -2.72716 5.15084
H -1.48242 -4.42816 5.14984
H -2.83942 -3.22416 4.89784
C -0.39242 -4.23116 -1.13216
O -1.48642 -4.90016 -1.26216
N 0.70058 -4.79716 -0.56116
C 2.00858 -4.04616 -0.35116
C 0.70658 -6.13516 0.03384
H -0.34842 -3.13116 -1.43216
H 1.85458 -2.97016 -0.41916
H 2.78658 -4.29116 -0.96316
H 2.35158 -4.15716 0.66784
H 0.19958 -6.20716 1.03684
H 1.73358 -6.48516 0.19084
H 0.28258 -6.54316 -0.85616
*
```

Löwdin atomic charge list, values in e, 4 entries: C -0.85; O -0.11; O 0.03; O -0.05



2.
This record from the Open Molecules 2025 dataset describes the molecule C28H37NO5. The level of theory is wB97M-V/def2-TZVPD.

Results
└──
Our stories, however, are not always tales of profound joy, triumph and success. As often as not, they are tales of loss and failure.
No wonder, then, that storytelling is a vital part of the practice of “holy friendship.” Stories are how holy friends can speak hard truths in love.
This holds not just for individuals but also for institutions -- especially, I believe, for Christian institutions and those who lead them.
Whether for individuals or institutions, holy friendship is a tall order. As L. Gregory Jones has written, “Holy friends challenge the sins we have come to love, affirm the gifts we are afraid to claim and help us dream dreams we otherwise would not dream.” In holy friendship, we open ourselves to an honesty that is critical to our growth but can be uncomfortable for us to hear.
Having others name our sins is painful, of course. So too, for some, is having them affirm our gifts and give voice to our hidden dreams -- especially when that highlights how short we have fallen. Even so, we need to hear difficult truths about ourselves in order to grow into the people God created us to be. When holy friends couch these truths in stories, they make them easier to hear and our need to change easier to accept.
For generations, God’s faithful have had examples of holy friends telling stories that deliver challenging messages and remind loved ones of their place in God’s ongoing story of love, loss, hope, grace and redemption. More than 80 times, the Old and New Testaments recall God bringing the Israelites out of Egypt, with each account rooting the original readers and us today in God’s story of love for the world. The same story, told many times and in many ways, tells us who we are, where we have been and where God is leading us.
Holy friends can also help us re-narrate old stories that we need to hear with a new interpretation and fresh ears.
We all have stories that we replay in our heads over and over -- usually, negative stories that reinforce our failures, shortcomings or regrets. Attentive and caring holy friends often sense when we are listening to these old narratives and can re-narrate them in ways that we cannot do for ourselves. Holy friends can help locate these stories within God’s larger ongoing story, opening our eyes to see where we have, in fact, grown and changed. Similarly, they can help us write new stories for the future, of what and who, with God’s help, we can become.
The same is true for institutions. A church or other Christian institution can cling to old stories and become stuck in tragic events, moments of human brokenness that happened generations ago. Though the original events may be difficult even to recall, they still shape the institution’s present and its understanding of itself. Time can certainly bring healing, but so too can holy friends who offer new perspectives and reframe old stories.
Years ago, I served on the staff of a nonprofit that experienced a series of crushing financial blows caused by poor decisions and mismanagement by a string of leaders. Each time, we thought the new leadership would be different, but the same thing always happened again. The staff, while trying to remain faithful to the organization’s mission, found themselves second-guessing everything and everyone. No one knew exactly what was happening; various people held different pieces of the puzzle. With each setback, our situation became more embarrassing and more public.
Finally, a new executive director, appointed from outside the institution, revealed some hard truths. She provided complete financial transparency, giving all the staff and constituents a clear picture of the past and present. She told us again the story of the organization’s history, all the good it had accomplished and the bad it had allowed.
Now, our sins were known. Everything was out in the open. There was nothing more to fear. She reminded us that most organizations live in fear that their secrets might be revealed. (Because we all, individuals and organizations alike, have secrets.) We no longer had anything to hide -- which was a gift that she encouraged us to claim and live into.
Had she only told us the story of what happened in the past, had she only named the sins our organization’s leaders had committed, the impact would have been devastating. But instead, she continued the story, helping us re-narrate a new story of our organization’s future.
Although ghosts from the past still crept up sometimes, we were able to move ahead, dreaming new dreams of hope, honesty and flourishing into the future. And as it turned out, every dream she cast for the once-broken organization came true.
Today, the organization’s numbers and statistics show a thriving and healthy community partner known for its solid and transparent financial stewardship. The numbers tell us what is happening now.
But those who know the whole story -- past, present and future -- delight in the organization’s deeper success. Bad things happened, as they do everywhere. The leadership of a holy friend empowered us to reveal and confront institutional sins that needed to be brought to light, repented of and forgiven. Only then could we consider the possibility of new gifts to be claimed and new dreams to be lived into.
Holy friends, whether for individuals or institutions, use storytelling to speak difficult truths we might otherwise not be able to hear. In so doing, they help us grow and flourish in our unique individual and corporate roles in God’s ongoing story.